_Work order_
Next, echo only the last part of the notes below, starting with the line that has "3.739 -0.9407".
_Excerpt_
/*
(1)
C29H25ClN2O4 in the gas phase in a non-equilibrium geometry, computed with ωB97M-V/def2-TZVPD.

Geometry as XYZ:
```
61
Properties=species:S:1:pos:R:3:mulliken_charge:R:1
O -3.523 1.437 2.508 -0.8304
C -3.187 1.035 1.389 0.7559
C -1.595 1.117 1.006 0.5026
C -1.051 1.586 -0.223 -0.2401
C 0.286 1.916 -0.313 -0.5479
C 0.714 2.235 -1.648 -0.1855
O -0.066 2.494 -2.581 -0.7819
N 2.048 2.140 -1.833 -0.2979
C 2.553 2.565 -3.393 -0.7914
C 2.750 1.195 -3.859 -1.1825
C 3.410 0.094 -2.759 0.5133
C 2.611 -0.827 -2.221 0.1012
C 3.101 -1.539 -1.133 -0.9946
C 4.462 -1.467 -1.018 -0.1833
C 5.300 -0.574 -1.643 -0.3436
C 4.758 0.198 -2.341 -0.4056
C 1.216 1.592 0.623 1.0969
O 2.343 1.439 0.679 -0.6294
N 0.548 1.187 1.746 0.0612
C 1.541 0.662 2.753 -0.9308
C 1.717 -0.831 2.549 -0.8166
C 0.373 -1.600 2.434 0.2811
C -0.095 -2.254 3.739 -0.9407
C -1.179 -2.719 3.648 -0.4960
C -1.949 -3.000 2.412 -0.7056
C -1.325 -2.557 1.253 -0.1484
C -0.251 -1.985 1.372 1.2142
C -0.637 1.123 2.052 -0.2834
C -4.028 0.410 0.438 0.0454
C -3.428 -0.240 -0.794 -0.2945
C -4.267 -0.845 -1.932 -0.3252
Cl -3.591 -1.684 -3.253 -0.2046
C -5.550 -0.509 -1.716 -0.0096
C -6.066 0.273 -0.647 -1.1386
C -5.273 0.463 0.433 0.8607
O -5.823 1.074 1.484 -0.6300
H -1.622 2.051 -0.891 0.8900
H 2.524 2.139 -1.102 0.3663
H 3.578 2.934 -2.958 0.2808
H 2.026 3.243 -3.881 0.5962
H 3.584 1.429 -4.626 0.3808
H 1.900 0.800 -4.221 0.4778
H 1.430 -0.592 -2.383 0.0883
H 2.629 -2.182 -0.540 0.9259
H 4.918 -2.122 -0.085 0.1120
H 6.343 -0.300 -1.253 0.2971
H 5.365 0.743 -3.123 0.2481
H 2.572 1.090 2.841 0.4820
H 0.899 0.716 3.840 0.3325
H 2.378 -0.980 1.787 0.3067
H 2.299 -1.004 3.538 0.2940
H 0.462 -1.932 4.641 0.3304
H -1.793 -3.156 4.421 0.3350
H -2.916 -3.258 2.476 0.5745
H -1.916 -2.521 0.261 0.2742
H 0.309 -1.392 0.366 -0.4404
H -1.114 0.600 2.959 0.3353
H -2.301 -0.356 -0.753 0.3212
H -6.095 -1.110 -2.370 0.3962
H -7.080 0.155 -0.276 0.3286
H -5.230 1.403 2.119 0.3721
```

The HOMO energy is -8.6485 eV. Its SMILES is O=C(c1cc(C(=O)NCCc2ccccc2)c(=O)n(CCc2ccccc2)c1)c1cc(Cl)ccc1O. For the orbital gap, the calculation gives 8.02 eV. The LUMO energy is -0.63 eV.

=====

(2)
2 unconnected molecules or ions with the total composition C29H25N2OS in a non-equilibrium geometry, computed with ωB97M-V/def2-TZVPD.

Geometry as XYZ:
```
58
Properties=species:S:1:pos:R:3:mulliken_charge:R:1
C -4.274 -3.738 3.424 -0.4989
C -4.079 -2.398 3.076 -0.5662
C -3.219 -2.055 2.029 -0.2737
C -2.579 -3.073 1.324 0.5556
O -1.646 -2.744 0.329 -0.4504
C -0.418 -2.255 0.782 0.1364
C 0.613 -3.179 0.993 -0.5660
C 1.761 -2.746 1.608 -0.5796
C 1.985 -1.368 1.899 0.5767
C 3.179 -1.041 2.581 -0.6566
C 3.667 0.241 2.950 0.9599
C 5.079 0.382 3.104 -0.4769
C 5.642 1.574 3.517 -0.6875
C 4.820 2.687 3.762 -0.3335
C 3.429 2.579 3.618 -0.9944
C 2.851 1.366 3.261 -0.2137
C 0.982 -0.442 1.492 -0.4427
C -0.247 -0.889 1.038 -0.4289
C -2.797 -4.421 1.625 -0.3164
C -3.619 -4.745 2.707 -0.4731
H -4.935 -3.995 4.256 0.3911
H -4.590 -1.598 3.616 0.3692
H -3.013 -1.021 1.755 0.2900
H 0.452 -4.220 0.721 0.4525
H 2.531 -3.468 1.875 0.4793
H 3.824 -1.886 2.826 0.1967
H 5.704 -0.484 2.879 0.3662
H 6.725 1.648 3.646 0.4163
H 5.262 3.635 4.065 0.4236
H 2.785 3.444 3.798 0.3940
H 1.769 1.258 3.264 0.6539
H 1.164 0.627 1.550 0.8013
H -1.080 -0.202 0.867 0.5457
H -2.282 -5.181 1.041 0.4478
H -3.746 -5.792 2.984 0.3815
C 0.221 -5.474 9.028 -0.6370
C 0.934 -4.283 8.848 -0.7267
C 1.435 -3.992 7.581 0.3379
C 1.208 -4.827 6.480 0.6190
C 0.494 -6.014 6.663 -0.4464
C 0.010 -6.337 7.943 -0.6006
S 1.822 -4.117 5.010 -0.2355
C 2.435 -2.705 5.893 0.3116
N 3.070 -1.735 5.351 -0.0767
C 3.522 -0.626 6.216 -0.5014
C 3.661 -0.993 7.677 -1.0051
C 2.481 -1.790 8.192 -0.6114
N 2.153 -2.847 7.231 0.1911
H -0.179 -5.722 10.011 0.3853
H 1.087 -3.575 9.662 0.3121
H 0.322 -6.659 5.806 0.4071
H -0.546 -7.264 8.095 0.3740
H 4.499 -0.317 5.821 0.2452
H 2.839 0.240 6.102 0.2208
H 4.577 -1.580 7.796 0.3596
H 3.753 -0.083 8.271 0.4331
H 2.724 -2.256 9.149 0.4706
*/
_Solution_
C -0.095 -2.254 3.739 -0.9407
C -1.179 -2.719 3.648 -0.4960
C -1.949 -3.000 2.412 -0.7056
C -1.325 -2.557 1.253 -0.1484
C -0.251 -1.985 1.372 1.2142
C -0.637 1.123 2.052 -0.2834
C -4.028 0.410 0.438 0.0454
C -3.428 -0.240 -0.794 -0.2945
C -4.267 -0.845 -1.932 -0.3252
Cl -3.591 -1.684 -3.253 -0.2046
C -5.550 -0.509 -1.716 -0.0096
C -6.066 0.273 -0.647 -1.1386
C -5.273 0.463 0.433 0.8607
O -5.823 1.074 1.484 -0.6300
H -1.622 2.051 -0.891 0.8900
H 2.524 2.139 -1.102 0.3663
H 3.578 2.934 -2.958 0.2808
H 2.026 3.243 -3.881 0.5962
H 3.584 1.429 -4.626 0.3808
H 1.900 0.800 -4.221 0.4778
H 1.430 -0.592 -2.383 0.0883
H 2.629 -2.182 -0.540 0.9259
H 4.918 -2.122 -0.085 0.1120
H 6.343 -0.300 -1.253 0.2971
H 5.365 0.743 -3.123 0.2481
H 2.572 1.090 2.841 0.4820
H 0.899 0.716 3.840 0.3325
H 2.378 -0.980 1.787 0.3067
H 2.299 -1.004 3.538 0.2940
H 0.462 -1.932 4.641 0.3304
H -1.793 -3.156 4.421 0.3350
H -2.916 -3.258 2.476 0.5745
H -1.916 -2.521 0.261 0.2742
H 0.309 -1.392 0.366 -0.4404
H -1.114 0.600 2.959 0.3353
H -2.301 -0.356 -0.753 0.3212
H -6.095 -1.110 -2.370 0.3962
H -7.080 0.155 -0.276 0.3286
H -5.230 1.403 2.119 0.3721
```

The HOMO energy is -8.6485 eV. Its SMILES is O=C(c1cc(C(=O)NCCc2ccccc2)c(=O)n(CCc2ccccc2)c1)c1cc(Cl)ccc1O. For the orbital gap, the calculation gives 8.02 eV. The LUMO energy is -0.63 eV.

=====

(2)
2 unconnected molecules or ions with the total composition C29H25N2OS in a non-equilibrium geometry, computed with ωB97M-V/def2-TZVPD.

Geometry as XYZ:
```
58
Properties=species:S:1:pos:R:3:mulliken_charge:R:1
C -4.274 -3.738 3.424 -0.4989
C -4.079 -2.398 3.076 -0.5662
C -3.219 -2.055 2.029 -0.2737
C -2.579 -3.073 1.324 0.5556
O -1.646 -2.744 0.329 -0.4504
C -0.418 -2.255 0.782 0.1364
C 0.613 -3.179 0.993 -0.5660
C 1.761 -2.746 1.608 -0.5796
C 1.985 -1.368 1.899 0.5767
C 3.179 -1.041 2.581 -0.6566
C 3.667 0.241 2.950 0.9599
C 5.079 0.382 3.104 -0.4769
C 5.642 1.574 3.517 -0.6875
C 4.820 2.687 3.762 -0.3335
C 3.429 2.579 3.618 -0.9944
C 2.851 1.366 3.261 -0.2137
C 0.982 -0.442 1.492 -0.4427
C -0.247 -0.889 1.038 -0.4289
C -2.797 -4.421 1.625 -0.3164
C -3.619 -4.745 2.707 -0.4731
H -4.935 -3.995 4.256 0.3911
H -4.590 -1.598 3.616 0.3692
H -3.013 -1.021 1.755 0.2900
H 0.452 -4.220 0.721 0.4525
H 2.531 -3.468 1.875 0.4793
H 3.824 -1.886 2.826 0.1967
H 5.704 -0.484 2.879 0.3662
H 6.725 1.648 3.646 0.4163
H 5.262 3.635 4.065 0.4236
H 2.785 3.444 3.798 0.3940
H 1.769 1.258 3.264 0.6539
H 1.164 0.627 1.550 0.8013
H -1.080 -0.202 0.867 0.5457
H -2.282 -5.181 1.041 0.4478
H -3.746 -5.792 2.984 0.3815
C 0.221 -5.474 9.028 -0.6370
C 0.934 -4.283 8.848 -0.7267
C 1.435 -3.992 7.581 0.3379
C 1.208 -4.827 6.480 0.6190
C 0.494 -6.014 6.663 -0.4464
C 0.010 -6.337 7.943 -0.6006
S 1.822 -4.117 5.010 -0.2355
C 2.435 -2.705 5.893 0.3116
N 3.070 -1.735 5.351 -0.0767
C 3.522 -0.626 6.216 -0.5014
C 3.661 -0.993 7.677 -1.0051
C 2.481 -1.790 8.192 -0.6114
N 2.153 -2.847 7.231 0.1911
H -0.179 -5.722 10.011 0.3853
H 1.087 -3.575 9.662 0.3121
H 0.322 -6.659 5.806 0.4071
H -0.546 -7.264 8.095 0.3740
H 4.499 -0.317 5.821 0.2452
H 2.839 0.240 6.102 0.2208
H 4.577 -1.580 7.796 0.3596
H 3.753 -0.083 8.271 0.4331
H 2.724 -2.256 9.149 0.4706